Is It Correct to Say “OK, Thank You”?

Do you worry about the right way to thank someone? Should you just say, “thank you”, or is “OK, thank you” a better choice? Do they mean the same thing?

(Attached: crystal structures)
~~~
1.
First-principles (PBE-GGA) data for an optimized crystal structure of InBi3As, as listed in Alexandria.

Crystal system ... cubic
Polymorph energy (0 for the lowest one) ... 485 meV/atom
Volume ... 185.1 Å³/cell
DOS at the Fermi energy ... 1.58 states/eV/atom
M_tot ... 0.00 Bohr magnetons per cell
Raw total energy ... -2.8666 eV per atom
Energy of formation from the pure elements ... 21.67 kcal/mol of atoms
Space group ... Pm-3m (221)

a b c (Å): 5.6991 5.6991 5.6991
angles (deg): 90.00 90.00 90.00
Sites, in units of the cell vectors:
In: 0.0000 0.0000 0.0000
Bi: 0.0000 0.0000 0.5000
Bi: 0.0000 0.5000 0.0000
Bi: 0.5000 0.0000 0.0000
As: 0.5000 0.5000 0.5000

2.
First-principles (PBE-GGA) data for an optimized crystal structure of In12Bi3As5, as listed in Alexandria.

Crystal system ... cubic
Volume ... 2594.0 Å³/cell
DOS at the Fermi energy ... 0.43 states/eV/atom
M_tot ... 0.00 Bohr magnetons per cell
Raw total energy ... -3.3399 eV per atom
Energy of formation from the pure elements ... 1.10 kcal/mol of atoms
Space group ... Ia-3d (230)

a b c (Å): 14.9921 14.9921 14.9921
angles (deg): 109.47 109.47 109.47
Sites, in units of the cell vectors:
In: 0.0460 0.2184 0.1312
In: 0.0460 0.3276 0.9148
In: 0.0852 0.6312 0.4128
In: 0.0852 0.9540 0.6724
In: 0.0872 0.7184 0.6724
In: 0.0872 0.8688 0.4148
In: 0.1312 0.0460 0.2184
In: 0.1312 0.5852 0.9128
In: 0.1724 0.2184 0.5872
In: 0.1724 0.4540 0.5852
In: 0.2184 0.1312 0.0460
In: 0.2184 0.5872 0.1724
In: 0.2816 0.3276 0.9128
In: 0.2816 0.4540 0.3688
In: 0.3276 0.9128 0.2816
In: 0.3276 0.9148 0.0460
In: 0.3688 0.2816 0.4540
In: 0.3688 0.5872 0.9148
In: 0.4128 0.0852 0.6312
In: 0.4128 0.8276 0.7816
In: 0.4148 0.0872 0.8688
In: 0.4148 0.8276 0.5460
In: 0.4540 0.3688 0.2816
In: 0.4540 0.5852 0.1724
In: 0.5460 0.4148 0.8276
In: 0.5460 0.6312 0.7184
In: 0.5852 0.1724 0.4540
In: 0.5852 0.9128 0.1312
In: 0.5872 0.1724 0.2184
In: 0.5872 0.9148 0.3688
In: 0.6312 0.4128 0.0852
In: 0.6312 0.7184 0.5460
In: 0.6724 0.0852 0.9540
In: 0.6724 0.0872 0.7184
In: 0.7184 0.5460 0.6312
In: 0.7184 0.6724 0.0872
In: 0.7816 0.4128 0.8276
In: 0.7816 0.8688 0.9540
In: 0.8276 0.5460 0.4148
In: 0.8276 0.7816 0.4128
In: 0.8688 0.4148 0.0872
In: 0.8688 0.9540 0.7816
In: 0.9128 0.1312 0.5852
In: 0.9128 0.2816 0.3276
In: 0.9148 0.0460 0.3276
In: 0.9148 0.3688 0.5872
In: 0.9540 0.6724 0.0852
In: 0.9540 0.7816 0.8688
Bi: 0.1250 0.2500 0.3750
Bi: 0.1250 0.3750 0.7500
Bi: 0.2500 0.3750 0.1250
Bi: 0.2500 0.8750 0.6250
Bi: 0.3750 0.1250 0.2500
Bi: 0.3750 0.7500 0.1250
Bi: 0.6250 0.2500 0.8750
Bi: 0.6250 0.8750 0.7500
Bi: 0.7500 0.1250 0.3750
Bi: 0.7500 0.6250 0.8750
Bi: 0.8750 0.6250 0.2500
Bi: 0.8750 0.7500 0.6250
As: 0.0000 0.0000 0.0000
As: 0.0000 0.0000 0.5000
As: 0.0000 0.5000 0.0000
As: 0.0000 0.5000 0.5000
As: 0.1250 0.7500 0.8750
As: 0.1250 0.8750 0.2500
As: 0.2500 0.1250 0.8750
As: 0.2500 0.6250 0.3750
As: 0.3750 0.2500 0.6250
As: 0.3750 0.6250 0.7500
As: 0.5000 0.0000 0.0000
As: 0.5000 0.0000 0.5000
As: 0.5000 0.5000 0.0000
~~~
(Back to the text)

In this article, we will discuss if it is correct to say “OK, thank you” and the right time to use it.

Is It Correct to Say “OK, Thank You”?

“OK, thank you” is correct in a certain context. It is only correct when you need to both acknowledge and thank someone. If you only need to thank someone, it does not make sense to say “OK” along with “thank you”.  

Is It Correct to Say "Ok, Thank You"?

“OK” is a form of acknowledgement, so it doesn’t make sense to use it with “thank you” unless you are both acknowledging and thanking someone simultaneously.

For example, consider the following exchange:

Crystal structures that have nothing to do with the page:
┌──
KZn3Au2: relaxed, PBE-GGA.

N(E_F), states/eV/f.u.: 2.02
Space-group type: Cmcm, No. 63
Excess energy over the best structure of this formula in the dataset, meV per atom: 7
Calculated formation energy, eV per atom: -0.2052
Spin magnetization, μB per atom: 0.000

```
12
Lattice="5.3982 -4.2126 0.0000 5.3982 4.2126 0.0000 0.0000 0.0000 5.7936" Properties=species:S:1:pos:R:3 pbc="T T T"
K 5.3982 2.9141 4.3452
K 5.3982 -2.9141 1.4484
Zn 3.2600 2.2810 1.4484
Zn 5.3982 0.7010 1.4484
Zn 7.5363 2.2810 1.4484
Zn 3.2600 -2.2810 4.3452
Zn 5.3982 -0.7010 4.3452
Zn 7.5363 -2.2810 4.3452
Au 3.2188 0.0000 0.0000
Au 3.2188 0.0000 2.8968
Au 7.5776 0.0000 0.0000
Au 7.5776 0.0000 2.8968
```



K2ZnAu: relaxed, PBE-GGA.

N(E_F), states/eV/f.u.: 1.89
Space-group type: I-42d, No. 122
Excess energy over the best structure of this formula in the dataset, meV per atom: 260
Calculated formation energy, eV per atom: 0.0612
Spin magnetization, μB per atom: 0.000

```
8
Lattice="-4.6083 4.6083 3.3496 4.6083 -4.6083 3.3496 4.6083 4.6083 -3.3496" Properties=species:S:1:pos:R:3 pbc="T T T"
K 6.9125 2.1061 -0.8374
K 2.1061 2.3042 0.8374
K -2.3042 2.5022 2.5122
K 2.5022 2.3042 4.1870
Zn 4.6083 0.0000 1.6748
Zn 0.0000 0.0000 3.3496
Au 0.0000 0.0000 0.0000
Au 0.0000 4.6083 1.6748
```



KZn2Au: relaxed, PBE-GGA.

N(E_F), states/eV/f.u.: 1.61
Space-group type: Imm2, No. 44
Excess energy over the best structure of this formula in the dataset, meV per atom: 270
Calculated formation energy, eV per atom: 0.0485
Spin magnetization, μB per atom: 0.000

```
4
Lattice="-2.3434 3.0303 3.7434 2.3434 -3.0303 3.7434 2.3434 3.0303 -3.7434" Properties=species:S:1:pos:R:3 pbc="T T T"
K 0.0000 0.0000 0.0000
Zn 0.0000 0.0000 3.6451
Zn 0.0000 3.0303 1.3531
Au 2.3434 0.0000 2.4496
```



KZn3Au: relaxed, PBE-GGA.

N(E_F), states/eV/f.u.: 1.11
Space-group type: Pm-3m, No. 221
Excess energy over the best structure of this formula in the dataset, meV per atom: 48
Calculated formation energy, eV per atom: -0.0633
Spin magnetization, μB per atom: 0.000

```
5
Lattice="5.0254 0.0000 0.0000 0.0000 5.0254 0.0000 0.0000 0.0000 5.0254" Properties=species:S:1:pos:R:3 pbc="T T T"
K 0.0000 0.0000 0.0000
Zn 0.0000 2.5127 2.5127
Zn 2.5127 0.0000 2.5127
Zn 2.5127 2.5127 0.0000
Au 2.5127 2.5127 2.5127
```



KZn3Au2: relaxed, PBE-GGA.

N(E_F), states/eV/f.u.: 2.24
Space-group type: C2/m, No. 12
Excess energy over the best structure of this formula in the dataset, meV per atom: 0
Calculated formation energy, eV per atom: -0.2125
Spin magnetization, μB per atom: 0.000

```
12
Lattice="8.1092 -2.2388 0.0000 8.1092 2.2388 0.0000 -3.3043 0.0000 7.4318" Properties=species:S:1:pos:R:3 pbc="T T T"
K 2.3121 0.0000 0.6483
K 10.6020 0.0000 6.7835
Zn -1.0898 0.0000 2.4896
Zn 3.2254 0.0000 4.1066
Zn 5.4664 0.0000 2.5502
Zn 7.4477 0.0000 4.8817
Zn 9.6887 0.0000 3.3252
Zn 14.0040 0.0000 4.9422
Au 0.6524 0.0000 4.5632
Au 5.0979 0.0000 6.0711
Au 7.8162 0.0000 1.3607
Au 12.2617 0.0000 2.8687
```



KZn2Au: relaxed, PBE-GGA.
└──

  • Jim: Thank you for your submission! We will get back to you in a few days!
  • Bob: OK, thank you.

In this exchange, Bob receives information relevant to him, as Jim tells Bob to expect contact in a few days. Because this is something Bob needs to acknowledge, he says “OK” before “thank you”. As a result, Jim knows that Bob understands what has been said and is thanking him for it.

You can use “OK, thanks” or “okay, thank you” as well, as “okay” and “OK” are just different spellings of the same word. “Thanks” and “thank you” are also just different ways to say the same thing.

• Inserted here: calculated crystals:
- - -
# 1
A relaxed Y3ErSn3 crystal, computed with PBE.

Cell and atoms, written as POSCAR:
```
Y3ErSn3
1.0
9.073 0.000 0.000
-4.536 7.857 0.000
0.000 0.000 5.467
Y Er Sn
6 2 6
direct
0.007 0.766 0.250 Y
0.234 0.241 0.250 Y
0.241 0.007 0.750 Y
0.759 0.993 0.250 Y
0.766 0.759 0.750 Y
0.993 0.234 0.750 Y
0.333 0.667 0.250 Er
0.667 0.333 0.750 Er
0.077 0.622 0.750 Sn
0.378 0.455 0.750 Sn
0.455 0.077 0.250 Sn
0.545 0.923 0.750 Sn
0.622 0.545 0.250 Sn
0.923 0.378 0.250 Sn
```

=====

# 2
A relaxed YErSn2 crystal, computed with PBE.

Cell and atoms, written as POSCAR:
```
YErSn2
1.0
4.300 0.000 0.000
0.000 2.234 5.691
0.000 -2.234 5.691
Y Er Sn
1 1 2
direct
0.000 0.000 0.000 Y
0.500 0.268 0.268 Er
0.000 0.728 0.728 Sn
0.500 0.539 0.539 Sn
```

=====

# 3
A relaxed YErSn2 crystal, computed with PBE.

Cell and atoms, written as POSCAR:
```
YErSn2
1.0
3.468 0.000 0.000
0.000 3.468 0.000
0.000 0.000 8.757
Y Er Sn
1 1 2
direct
0.000 0.000 0.000 Y
0.000 0.000 0.500 Er
0.500 0.500 0.252 Sn
0.500 0.500 0.748 Sn
```

=====

# 4
A relaxed YEr2Sn crystal, computed with PBE.

Cell and atoms, written as POSCAR:
```
YEr2Sn
1.0
1.748 1.009 11.858
-1.748 1.009 11.858
0.000 -2.018 11.858
Y Er Sn
1 2 1
direct
0.000 0.000 0.000 Y
0.413 0.413 0.413 Er
0.587 0.587 0.587 Er
0.500 0.500 0.500 Sn
```

=====

# 5
A relaxed YEr2Sn2 crystal, computed with PBE.

Cell and atoms, written as POSCAR:
```
YEr2Sn2
1.0
6.295 -1.983 0.000
6.295 1.983 0.000
-1.290 0.000 5.937
Y Er Sn
1 2 2
direct
0.000 0.000 0.000 Y
0.364 0.364 0.419 Er
0.636 0.636 0.581 Er
0.301 0.301 0.870 Sn
0.699 0.699 0.130 Sn
```

=====

# 6
A relaxed YErSn2 crystal, computed with PBE.

Cell and atoms, written as POSCAR:
```
YErSn2
1.0
4.900 0.000 0.000
0.000 4.900 0.000
0.000 0.000 4.381
Y Er Sn
1 1 2
direct
0.000 0.000 0.000 Y
0.500 0.500 0.000 Er
0.000 0.500 0.500 Sn
0.500 0.000 0.500 Sn
```

=====

# 7
A relaxed YEr2Sn crystal, computed with PBE.

Cell and atoms, written as POSCAR:
```
YEr2Sn
1.0
3.704 0.000 0.000
0.000 3.704 0.000
0.000 0.000 8.530
Y Er Sn
1 2 1
direct
0.000 0.000 0.000 Y
0.500 0.500 0.279 Er
0.500 0.500 0.721 Er
0.000 0.000 0.500 Sn
```

=====

# 8
A relaxed YEr2Sn crystal, computed with PBE.

Cell and atoms, written as POSCAR:
```
YEr2Sn
1.0
2.737 -6.302 0.000
2.737 6.302 0.000
0.000 0.000 6.755
Y Er Sn
2 4 2
direct
0.071 0.929 0.750 Y
0.929 0.071 0.250 Y
0.368 0.632 0.518 Er
0.368 0.632 0.982 Er
0.632 0.368 0.018 Er
0.632 0.368 0.482 Er
0.172 0.828 0.250 Sn
0.828 0.172 0.750 Sn
```

=====

| no. | density (g cm⁻³) | DFT formation energy (kJ/mol of atoms) |
| --- | --- | --- |
| 1 | 6.7 | -49.8 |
| 2 | 7.5 | -70.0 |
| 3 | 7.8 | -60.0 |
| 4 | 7.2 | 5.4 |
| 5 | 7.4 | -38.3 |
| 6 | 7.8 | -58.8 |
| 7 | 7.7 | -28.9 |
| 8 | 7.7 | -26.0 |

* * * * *

Entry 1:
Compound: LiCaW2
Source: the Alexandria database
Functional: PBEsol
Structure: relaxed

The structure in extended XYZ format:
```
4
Lattice="-0.923 0.655 -3.085 -1.630 -2.851 -0.117 -6.035 3.346 2.516" Properties=species:S:1:pos:R:3 pbc="T T T"
- - -
• So much for the calculated crystals:

Regardless of spelling, you should always put a comma between “OK” and “thank you”.

This is because there are two ideas in this response. “OK” is acknowledgment of something, separate from gratitude, while “thank you” is gratitude, separate from the acknowledgment. Because the two words offer separate ideas in the sentence, you put a comma between them.

So, it is correct to use “OK, thank you” in the right situations. But if you are uncomfortable using it, we have compiled a list of what to say instead of “OK, thank you” down below.

Other Ways to Say “OK, Thank You”

Other ways to say “OK, thank you” are “alright, thanks”, “I understand, thank you”, and “right, thanks”. All of these phrases offer both acknowledgment of something and gratitude for it. They have different levels of formality based on the word used for acknowledgment.

However, they all mean the same thing. As long as you use the appropriate synonym, you will address someone with the right level of formality.

1. Alright, Thanks

Alright, thanks” is a phrase that both acknowledges and thanks someone for something. The word “alright” is equal in informality to “OK”. Furthermore, “thanks” is more informal than “thank you”. As a result, “alright, thanks” is a slightly more informal synonym to “OK, thank you”.

It is used in the same situations as “OK, thank you”. It is fitting for informal conversation, but not for anything formal, such as meetings, business emails, academic text, etc.

  • I bought that thing that you wanted from the store.
  • Alright, thanks.
  • Here is your pay for the job.
  • Alright, thanks.

2. I Understand, Thank You

To be more formal than “OK, thank you”, use “I understand, thank you”. “I understand” is a very formal way to acknowledge something. “Thank you” is more formal than “thanks”, so “I understand, thank you” is very formal and polite.

It is appropriate for formal settings, such as in professional emails, meetings, and other such settings. However, some people think it too formal for casual conversation.

  • Your package is scheduled to arrive on Thursday.
  • I understand, thank you.
  • Your performance has been recorded. Expect a review soon.
  • I understand, thank you.

3. Right, Thanks

“Right, thanks” is very informal and not suitable for any formal situation, because the word “right” is a loose form of acknowledgement that some consider impolite. It is fine for casual conversation, but little else. 

If you want to be more formal, substitute “thanks” with “thank you”. However, using “right” is still very informal, because Some consider it to be even less formal than “OK”. Because of this, it’s not recommended to use “right, thanks” outside of the most casual of situations.

  • Here’s your hotdog, Jane.
  • Right, thanks.
  • Don’t forget to buy a gift for Dad, because his birthday is soon.
  • Right, thanks! I nearly forgot.

4. Very Good, Thank You

“Very good, thank you” is a formal alternative to “OK, thanks”. However, it is also somewhat dated. “Very good” is a somewhat outdated way of acknowledging something. It is also only fitting when you acknowledge something that is considered beneficial to you.

It is nonsensical to say “very good” if you are acknowledging something bad. However, it is appropriate for acknowledging good things in a formal setting. This phrase is too formal to be regularly used in casual conversation, though.

  • Here are the reports you requested, sir.
  • Very good, thank you.
  • The project is proceeding as planned. We expect to finish in two months.
  • Very good, thank you for your report.

5. Very Well, Thank You

Another formal synonym for “OK, thanks” is “very well, thank you”. The phrase “very well” is the same as “very good”. It’s a form of acknowledgment specifically for good things. It does not make any sense to say “very well” when acknowledging bad news.

This phrase is too formal for most casual situations, but it is fitting for nearly all formal ones. It is acceptable to use in business emails, professional meetings, and the like.

  • The repairs for your vehicle are complete. Here is your bill.
  • Very well, thank you for your services.

6. Right Then, Thank You

“Right then” is a somewhat informal means of acknowledgment. It is a way to acknowledge any situation, good or bad, and is not tied to one or the other, which means “right then” can be used in most contexts. “Right, thank you” is also appropriate instead of “right then” if you wish.

However, it is not a good fit for formal situations, as “right then” just doesn’t sound polite. Because of this, it is not recommended for use if you are concerned with being as formal and polite as possible.

  • Sam, don’t forget to take your jacket.
  • Right, thank you.
  • We’ve sent the electronic bill to your email address.
  • Right then, thank you.

7. Yes, Thank You

“Yes, thank you” is appropriate if you need to provide someone with both an affirmative answer and acknowledgment. However, it does not make sense if an affirmative answer is not needed as part of your acknowledgment. 

It is very polite though, so it is appropriate for many professional and formal settings. Because both “yes” and “thanks” end in an “S”, many consider “yes, thanks” to sound strange. It is recommended to always say “yes, thank you” instead.

  • Do you want a slice of this pizza?
  • Yes, thank you.
  • I can drive you to work, if you need it.
  • Yes, thank you for your offer.

Is “OK, Thank You” Appropriate to Use in Emails?

“OK, thank you” is somewhat formal and informal. As a result, it is appropriate in some emails but not in others.

It depends primarily on how casual and informal the person you are writing to is. For instance, if your boss is alright with informality, there is no harm in using “OK, thank you”.

But if the person you are emailing is a stickler for formality, “OK, thank you” is likely too informal to use. It all depends on the level of formality expected in any given situation.